Material:
/*
1.
First-principles (r²SCAN) data for a geometry-optimized GdMgRh2 structure, as listed in Materials Project.

a = 6.565 Å, b = 6.565 Å, c = 6.565 Å
α = 90.00°, β = 90.00°, γ = 90.00°
Space group Fm-3m (No. 225)
Unique sites:
Gd: 0.000 0.000 0.000 x4
Mg: 0.000 0.000 0.500 x4
Rh: 0.250 0.250 0.250 x8

Results
- total magnetization (μB per formula unit) = 7.2
- formation enthalpy at 0 K (kcal/mol of atoms) = -15.05

=====

2.
First-principles (r²SCAN) data for a geometry-optimized Gd2MgRu structure, as listed in Materials Project.

a = 7.156 Å, b = 7.156 Å, c = 7.156 Å
α = 90.00°, β = 90.00°, γ = 90.00°
Space group Fm-3m (No. 225)
Unique sites:
Gd: 0.250 0.250 0.250 x8
Mg: 0.000 0.000 0.000 x4
Ru: 0.000 0.000 0.500 x4

Results
- total magnetization (μB per formula unit) = 14.6
- formation enthalpy at 0 K (kcal/mol of atoms) = -2.78

=====

3.
First-principles (r²SCAN) data for a geometry-optimized GdMgTl structure, as listed in Materials Project.

a = 4.673 Å, b = 13.121 Å, c = 7.566 Å
α = 90.00°, β = 90.00°, γ = 90.00°
Space group Amm2 (No. 38)
Unique sites:
Gd: 0.000 0.000 0.000 x2
Gd: 0.000 0.215 0.644 x4
Mg: 0.500 0.000 0.672 x2
Mg: 0.500 0.121 0.308 x4
Tl: 0.000 0.000 0.429 x2
Tl: 0.500 0.167 0.929 x4

Results
- total magnetization (μB per formula unit) = 7.1
- formation enthalpy at 0 K (kcal/mol of atoms) = -9.28

=====

4.
First-principles (r²SCAN) data for a geometry-optimized Gd2MgTl structure, as listed in Materials Project.

a = 5.398 Å, b = 5.398 Å, c = 7.551 Å
α = 90.00°, β = 90.00°, γ = 90.00°
Space group I4/mmm (No. 139)
Unique sites:
Gd: 0.000 0.500 0.250 x4
Mg: 0.000 0.000 0.000 x2
Tl: 0.000 0.000 0.500 x2

Results
- total magnetization (μB per formula unit) = 15.3
- formation enthalpy at 0 K (kcal/mol of atoms) = -6.93

=====

5.
First-principles (r²SCAN) data for a geometry-optimized Gd2Mo2O7 structure, as listed in Materials Project.

a = 10.351 Å, b = 10.351 Å, c = 10.351 Å
α = 90.00°, β = 90.00°, γ = 90.00°
Space group Fd-3m (No. 227, origin choice 2)
Unique sites:
Gd: 0.000 0.000 0.000 x16
Mo: 0.000 0.000 0.500 x16
O: 0.085 0.375 0.875 x48
O: 0.125 0.125 0.125 x8

Results
- total magnetization (μB per formula unit) = 18.0
- formation enthalpy at 0 K (kcal/mol of atoms) = -66.32

=====

6.
First-principles (r²SCAN) data for a geometry-optimized Gd3S3N structure, as listed in Materials Project.

a = 12.069 Å, b = 3.894 Å, c = 12.851 Å
α = 90.00°, β = 90.00°, γ = 90.00°
Space group Pnma (No. 62)
Unique sites:
Gd: 0.046 0.250 0.146 x4
Gd: 0.071 0.250 0.629 x4
Gd: 0.213 0.250 0.861 x4
S: 0.090 0.250 0.397 x4
S: 0.133 0.750 0.992 x4
S: 0.225 0.750 0.692 x4
N: 0.039 0.250 0.798 x4

Results
- total magnetization (μB per formula unit) = 3.0
- formation enthalpy at 0 K (kcal/mol of atoms) = -36.36

=====

7.
First-principles (r²SCAN) data for a geometry-optimized Na3GdTi2Nb2O12 structure, as listed in Materials Project.

a = 5.418 Å, b = 5.527 Å, c = 7.737 Å
α = 89.99°, β = 89.94°, γ = 89.63°
Space group P1 (No. 1)
Unique sites:
Na: 0.000 0.000 0.000 x1
Na: 0.011 0.935 0.502 x1
Na: 0.498 0.484 0.003 x1
Gd: 0.492 0.417 0.502 x1
Ti: 0.508 0.956 0.748 x1
Ti: 0.994 0.460 0.257 x1
Nb: 0.507 0.956 0.239 x1
Nb: 0.996 0.468 0.763 x1
O: 0.068 0.452 0.006 x1
O: 0.214 0.204 0.303 x1
O: 0.219 0.201 0.700 x1
O: 0.298 0.682 0.297 x1
O: 0.302 0.686 0.705 x1
O: 0.423 0.972 0.997 x1
O: 0.576 0.998 0.504 x1
O: 0.697 0.279 0.775 x1
O: 0.702 0.281 0.229 x1
O: 0.794 0.779 0.790 x1
O: 0.799 0.772 0.209 x1
O: 0.912 0.507 0.498 x1

Results
- total magnetization (μB per formula unit) = 7.0
- formation enthalpy at 0 K (kcal/mol of atoms) = -68.52

=====

8.
First-principles (r²SCAN) data for a geometry-optimized NaGdSe2 structure, as listed in Materials Project.

a = 4.1707 Å, b = 4.1707 Å, c = 20.7370 Å
α = 90.00°, β = 90.00°, γ = 120.00°
Space group R-3m (No. 166, hexagonal axes)
Unique sites:
Na: 0.0000 0.0000 0.0000 x3
Gd: 0.0000 0.0000 0.5000 x3
Se: 0.0000 0.0000 0.2445 x6
*/

Job:
What is needed: copy the material earlier on word for word.

Reply:
1.
First-principles (r²SCAN) data for a geometry-optimized GdMgRh2 structure, as listed in Materials Project.

a = 6.565 Å, b = 6.565 Å, c = 6.565 Å
α = 90.00°, β = 90.00°, γ = 90.00°
Space group Fm-3m (No. 225)
Unique sites:
Gd: 0.000 0.000 0.000 x4
Mg: 0.000 0.000 0.500 x4
Rh: 0.250 0.250 0.250 x8

Results
- total magnetization (μB per formula unit) = 7.2
- formation enthalpy at 0 K (kcal/mol of atoms) = -15.05

=====

2.
First-principles (r²SCAN) data for a geometry-optimized Gd2MgRu structure, as listed in Materials Project.

a = 7.156 Å, b = 7.156 Å, c = 7.156 Å
α = 90.00°, β = 90.00°, γ = 90.00°
Space group Fm-3m (No. 225)
Unique sites:
Gd: 0.250 0.250 0.250 x8
Mg: 0.000 0.000 0.000 x4
Ru: 0.000 0.000 0.500 x4

Results
- total magnetization (μB per formula unit) = 14.6
- formation enthalpy at 0 K (kcal/mol of atoms) = -2.78

=====

3.
First-principles (r²SCAN) data for a geometry-optimized GdMgTl structure, as listed in Materials Project.

a = 4.673 Å, b = 13.121 Å, c = 7.566 Å
α = 90.00°, β = 90.00°, γ = 90.00°
Space group Amm2 (No. 38)
Unique sites:
Gd: 0.000 0.000 0.000 x2
Gd: 0.000 0.215 0.644 x4
Mg: 0.500 0.000 0.672 x2
Mg: 0.500 0.121 0.308 x4
Tl: 0.000 0.000 0.429 x2
Tl: 0.500 0.167 0.929 x4

Results
- total magnetization (μB per formula unit) = 7.1
- formation enthalpy at 0 K (kcal/mol of atoms) = -9.28

=====

4.
First-principles (r²SCAN) data for a geometry-optimized Gd2MgTl structure, as listed in Materials Project.

a = 5.398 Å, b = 5.398 Å, c = 7.551 Å
α = 90.00°, β = 90.00°, γ = 90.00°
Space group I4/mmm (No. 139)
Unique sites:
Gd: 0.000 0.500 0.250 x4
Mg: 0.000 0.000 0.000 x2
Tl: 0.000 0.000 0.500 x2

Results
- total magnetization (μB per formula unit) = 15.3
- formation enthalpy at 0 K (kcal/mol of atoms) = -6.93

=====

5.
First-principles (r²SCAN) data for a geometry-optimized Gd2Mo2O7 structure, as listed in Materials Project.

a = 10.351 Å, b = 10.351 Å, c = 10.351 Å
α = 90.00°, β = 90.00°, γ = 90.00°
Space group Fd-3m (No. 227, origin choice 2)
Unique sites:
Gd: 0.000 0.000 0.000 x16
Mo: 0.000 0.000 0.500 x16
O: 0.085 0.375 0.875 x48
O: 0.125 0.125 0.125 x8

Results
- total magnetization (μB per formula unit) = 18.0
- formation enthalpy at 0 K (kcal/mol of atoms) = -66.32

=====

6.
First-principles (r²SCAN) data for a geometry-optimized Gd3S3N structure, as listed in Materials Project.

a = 12.069 Å, b = 3.894 Å, c = 12.851 Å
α = 90.00°, β = 90.00°, γ = 90.00°
Space group Pnma (No. 62)
Unique sites:
Gd: 0.046 0.250 0.146 x4
Gd: 0.071 0.250 0.629 x4
Gd: 0.213 0.250 0.861 x4
S: 0.090 0.250 0.397 x4
S: 0.133 0.750 0.992 x4
S: 0.225 0.750 0.692 x4
N: 0.039 0.250 0.798 x4

Results
- total magnetization (μB per formula unit) = 3.0
- formation enthalpy at 0 K (kcal/mol of atoms) = -36.36

=====

7.
First-principles (r²SCAN) data for a geometry-optimized Na3GdTi2Nb2O12 structure, as listed in Materials Project.

a = 5.418 Å, b = 5.527 Å, c = 7.737 Å
α = 89.99°, β = 89.94°, γ = 89.63°
Space group P1 (No. 1)
Unique sites:
Na: 0.000 0.000 0.000 x1
Na: 0.011 0.935 0.502 x1
Na: 0.498 0.484 0.003 x1
Gd: 0.492 0.417 0.502 x1
Ti: 0.508 0.956 0.748 x1
Ti: 0.994 0.460 0.257 x1
Nb: 0.507 0.956 0.239 x1
Nb: 0.996 0.468 0.763 x1
O: 0.068 0.452 0.006 x1
O: 0.214 0.204 0.303 x1
O: 0.219 0.201 0.700 x1
O: 0.298 0.682 0.297 x1
O: 0.302 0.686 0.705 x1
O: 0.423 0.972 0.997 x1
O: 0.576 0.998 0.504 x1
O: 0.697 0.279 0.775 x1
O: 0.702 0.281 0.229 x1
O: 0.794 0.779 0.790 x1
O: 0.799 0.772 0.209 x1
O: 0.912 0.507 0.498 x1

Results
- total magnetization (μB per formula unit) = 7.0
- formation enthalpy at 0 K (kcal/mol of atoms) = -68.52

=====

8.
First-principles (r²SCAN) data for a geometry-optimized NaGdSe2 structure, as listed in Materials Project.

a = 4.1707 Å, b = 4.1707 Å, c = 20.7370 Å
α = 90.00°, β = 90.00°, γ = 120.00°
Space group R-3m (No. 166, hexagonal axes)
Unique sites:
Na: 0.0000 0.0000 0.0000 x3
Gd: 0.0000 0.0000 0.5000 x3
Se: 0.0000 0.0000 0.2445 x6